The reader should print all of the entries further below without altering anything.

- - -
Entry 1:
# C31H92N4O13

A 13-piece molecular cluster, C31H92N4O13 overall (ωB97M-V/def2-TZVPD, the Open Molecules 2025 dataset).

Element x y z (Å)
C  -2.086  2.221  3.174
C  -1.055  2.345  4.284
C  0.403  2.135  3.823
O  -1.231  3.581  5.006
H  -2.293  1.196  2.872
H  -1.813  2.825  2.302
H  -3.091  2.593  3.406
H  -1.254  1.628  5.084
H  0.480  1.355  3.069
H  0.884  1.771  4.734
H  0.859  3.090  3.566
H  -1.402  4.264  4.345
C  -0.030  -1.480  4.241
C  0.474  -2.525  5.245
C  -0.657  -3.096  6.100
O  1.061  -3.623  4.568
H  -0.453  -0.585  4.701
H  -0.808  -1.855  3.575
H  0.821  -1.167  3.631
H  1.186  -2.084  5.949
H  -0.246  -3.615  6.968
H  -1.295  -3.837  5.613
H  -1.358  -2.351  6.489
H  1.969  -3.333  4.255
C  -5.001  2.155  -1.092
C  -6.329  2.201  -0.323
C  -7.011  3.564  -0.530
O  -7.265  1.233  -0.788
H  -4.387  1.415  -0.585
H  -4.559  3.143  -1.225
H  -5.183  1.856  -2.127
H  -6.153  2.022  0.741
H  -6.925  3.901  -1.561
H  -6.534  4.316  0.104
H  -8.038  3.495  -0.176
H  -7.047  0.366  -0.431
C  3.103  3.114  1.123
C  4.098  2.091  1.649
C  4.642  1.131  0.601
O  3.599  0.456  -0.048
C  4.029  -0.469  -1.004
N  5.289  2.838  2.135
H  3.469  3.528  0.178
H  3.024  3.971  1.790
H  2.138  2.669  0.877
H  3.684  1.518  2.489
H  5.348  0.420  1.059
H  5.204  1.737  -0.126
H  4.612  -1.291  -0.568
H  4.668  0.005  -1.767
H  3.165  -0.846  -1.553
H  5.039  3.315  3.000
H  5.961  2.147  2.474
C  0.568  8.907  -1.128
C  -0.718  8.054  -1.103
C  -0.596  6.772  -0.306
O  -0.152  5.736  -1.182
C  -0.395  4.477  -0.615
N  -1.908  8.849  -0.731
H  0.371  9.834  -1.663
H  1.339  8.375  -1.687
H  0.881  9.083  -0.098
H  -0.929  7.732  -2.128
H  -1.532  6.490  0.184
H  0.159  6.860  0.487
H  -1.459  4.311  -0.403
H  0.126  4.258  0.327
H  -0.059  3.713  -1.316
H  -2.006  9.640  -1.360
H  -1.650  9.313  0.145
C  2.499  1.695  -3.622
C  2.582  0.467  -4.530
C  1.197  -0.174  -4.622
O  1.091  -1.152  -5.649
C  1.506  -2.427  -5.199
N  3.051  0.847  -5.859
H  2.269  1.421  -2.588
H  1.737  2.381  -3.983
H  3.532  2.037  -3.530
H  3.230  -0.298  -4.090
H  0.489  0.603  -4.914
H  0.897  -0.623  -3.670
H  1.028  -2.837  -4.307
H  2.589  -2.349  -5.031
H  1.390  -3.178  -5.980
H  2.503  0.364  -6.566
H  2.891  1.828  -6.063
C  -1.676  0.593  0.134
C  -0.504  -0.345  -0.102
C  -0.898  -1.700  -0.686
O  0.088  -2.693  -0.455
C  -0.044  -3.346  0.786
N  0.417  0.402  -0.946
H  -2.384  0.727  -0.686
H  -1.316  1.588  0.383
H  -2.270  0.232  0.980
H  -0.067  -0.463  0.893
H  -1.036  -1.591  -1.763
H  -1.850  -2.092  -0.302
H  -0.962  -3.949  0.804
H  -0.047  -2.653  1.632
H  0.777  -4.055  0.879
H  0.157  0.448  -1.922
H  1.344  0.011  -0.865
C  -2.452  -0.004  -3.960
O  -2.851  0.753  -2.786
H  -2.637  -1.057  -3.770
H  -3.039  0.321  -4.820
H  -1.394  0.223  -4.062
H  -2.552  1.654  -2.938
C  1.533  -6.415  2.381
O  0.419  -5.764  2.973
H  2.397  -6.286  3.038
H  1.335  -7.463  2.178
H  1.753  -5.914  1.429
H  0.692  -4.959  3.462
C  -1.665  -4.255  -3.167
O  -0.687  -4.787  -4.042
H  -1.907  -4.933  -2.341
H  -1.364  -3.297  -2.746
H  -2.628  -4.103  -3.666
H  -1.076  -4.974  -4.898
C  0.842  -6.540  -1.402
O  0.028  -7.032  -2.457
H  0.254  -5.788  -0.854
H  1.029  -7.341  -0.689
H  1.770  -6.059  -1.719
H  -0.132  -6.290  -3.061
C  3.347  -1.940  2.441
O  3.452  -2.587  3.709
H  4.366  -1.685  2.156
H  2.889  -2.567  1.676
H  2.652  -1.097  2.469
H  3.924  -2.004  4.308
C  -1.823  -7.489  0.954
O  -1.764  -8.165  -0.290
H  -0.965  -7.692  1.603
H  -1.951  -6.405  0.902
H  -2.661  -7.915  1.511
H  -1.088  -7.723  -0.818

The value obtained for the relative energy (zero: lowest compared OMol25 entry of this formula, charge and spin) is 0.0 kcal per mole. As for the charge: 0.

---

Entry 2:
# C31H93CsN17O20S

C31H93CsN17O20S as an isolated structure (ωB97M-V/def2-TZVPD, the Open Molecules 2025 dataset).

Element x y z (Å)
Cs  -2.639  -2.140  2.061
S  -0.295  0.076  0.305
O  -1.699  0.298  -0.157
O  0.114  -1.151  -0.290
- - -

Entry 1:
# C31H92N4O13

A 13-piece molecular cluster, C31H92N4O13 overall (ωB97M-V/def2-TZVPD, the Open Molecules 2025 dataset).

Element x y z (Å)
C  -2.086  2.221  3.174
C  -1.055  2.345  4.284
C  0.403  2.135  3.823
O  -1.231  3.581  5.006
H  -2.293  1.196  2.872
H  -1.813  2.825  2.302
H  -3.091  2.593  3.406
H  -1.254  1.628  5.084
H  0.480  1.355  3.069
H  0.884  1.771  4.734
H  0.859  3.090  3.566
H  -1.402  4.264  4.345
C  -0.030  -1.480  4.241
C  0.474  -2.525  5.245
C  -0.657  -3.096  6.100
O  1.061  -3.623  4.568
H  -0.453  -0.585  4.701
H  -0.808  -1.855  3.575
H  0.821  -1.167  3.631
H  1.186  -2.084  5.949
H  -0.246  -3.615  6.968
H  -1.295  -3.837  5.613
H  -1.358  -2.351  6.489
H  1.969  -3.333  4.255
C  -5.001  2.155  -1.092
C  -6.329  2.201  -0.323
C  -7.011  3.564  -0.530
O  -7.265  1.233  -0.788
H  -4.387  1.415  -0.585
H  -4.559  3.143  -1.225
H  -5.183  1.856  -2.127
H  -6.153  2.022  0.741
H  -6.925  3.901  -1.561
H  -6.534  4.316  0.104
H  -8.038  3.495  -0.176
H  -7.047  0.366  -0.431
C  3.103  3.114  1.123
C  4.098  2.091  1.649
C  4.642  1.131  0.601
O  3.599  0.456  -0.048
C  4.029  -0.469  -1.004
N  5.289  2.838  2.135
H  3.469  3.528  0.178
H  3.024  3.971  1.790
H  2.138  2.669  0.877
H  3.684  1.518  2.489
H  5.348  0.420  1.059
H  5.204  1.737  -0.126
H  4.612  -1.291  -0.568
H  4.668  0.005  -1.767
H  3.165  -0.846  -1.553
H  5.039  3.315  3.000
H  5.961  2.147  2.474
C  0.568  8.907  -1.128
C  -0.718  8.054  -1.103
C  -0.596  6.772  -0.306
O  -0.152  5.736  -1.182
C  -0.395  4.477  -0.615
N  -1.908  8.849  -0.731
H  0.371  9.834  -1.663
H  1.339  8.375  -1.687
H  0.881  9.083  -0.098
H  -0.929  7.732  -2.128
H  -1.532  6.490  0.184
H  0.159  6.860  0.487
H  -1.459  4.311  -0.403
H  0.126  4.258  0.327
H  -0.059  3.713  -1.316
H  -2.006  9.640  -1.360
H  -1.650  9.313  0.145
C  2.499  1.695  -3.622
C  2.582  0.467  -4.530
C  1.197  -0.174  -4.622
O  1.091  -1.152  -5.649
C  1.506  -2.427  -5.199
N  3.051  0.847  -5.859
H  2.269  1.421  -2.588
H  1.737  2.381  -3.983
H  3.532  2.037  -3.530
H  3.230  -0.298  -4.090
H  0.489  0.603  -4.914
H  0.897  -0.623  -3.670
H  1.028  -2.837  -4.307
H  2.589  -2.349  -5.031
H  1.390  -3.178  -5.980
H  2.503  0.364  -6.566
H  2.891  1.828  -6.063
C  -1.676  0.593  0.134
C  -0.504  -0.345  -0.102
C  -0.898  -1.700  -0.686
O  0.088  -2.693  -0.455
C  -0.044  -3.346  0.786
N  0.417  0.402  -0.946
H  -2.384  0.727  -0.686
H  -1.316  1.588  0.383
H  -2.270  0.232  0.980
H  -0.067  -0.463  0.893
H  -1.036  -1.591  -1.763
H  -1.850  -2.092  -0.302
H  -0.962  -3.949  0.804
H  -0.047  -2.653  1.632
H  0.777  -4.055  0.879
H  0.157  0.448  -1.922
H  1.344  0.011  -0.865
C  -2.452  -0.004  -3.960
O  -2.851  0.753  -2.786
H  -2.637  -1.057  -3.770
H  -3.039  0.321  -4.820
H  -1.394  0.223  -4.062
H  -2.552  1.654  -2.938
C  1.533  -6.415  2.381
O  0.419  -5.764  2.973
H  2.397  -6.286  3.038
H  1.335  -7.463  2.178
H  1.753  -5.914  1.429
H  0.692  -4.959  3.462
C  -1.665  -4.255  -3.167
O  -0.687  -4.787  -4.042
H  -1.907  -4.933  -2.341
H  -1.364  -3.297  -2.746
H  -2.628  -4.103  -3.666
H  -1.076  -4.974  -4.898
C  0.842  -6.540  -1.402
O  0.028  -7.032  -2.457
H  0.254  -5.788  -0.854
H  1.029  -7.341  -0.689
H  1.770  -6.059  -1.719
H  -0.132  -6.290  -3.061
C  3.347  -1.940  2.441
O  3.452  -2.587  3.709
H  4.366  -1.685  2.156
H  2.889  -2.567  1.676
H  2.652  -1.097  2.469
H  3.924  -2.004  4.308
C  -1.823  -7.489  0.954
O  -1.764  -8.165  -0.290
H  -0.965  -7.692  1.603
H  -1.951  -6.405  0.902
H  -2.661  -7.915  1.511
H  -1.088  -7.723  -0.818

The value obtained for the relative energy (zero: lowest compared OMol25 entry of this formula, charge and spin) is 0.0 kcal per mole. As for the charge: 0.

---

Entry 2:
# C31H93CsN17O20S

C31H93CsN17O20S as an isolated structure (ωB97M-V/def2-TZVPD, the Open Molecules 2025 dataset).

Element x y z (Å)
Cs  -2.639  -2.140  2.061
S  -0.295  0.076  0.305
O  -1.699  0.298  -0.157
O  0.114  -1.151  -0.290